People who understand that there is only one disease, malfunctioning cells, are decades ahead of their doctors. While this may sound mundane, it is actually quite profound. Likewise there are only two causes of disease: deficiency and toxicity. When deficient, cells aren’t getting everything they need to support normal cell function. When toxic, cells are getting something they don’t need, which damages normal function.
Most people immediately think of toxins as things coming from outside the body, like pesticides and prescription drugs. But the truth is most of our toxic load comes from the body itself. Normal healthy metabolism produces lots of metabolic waste products, just as a factory produces industrial waste. Abnormal metabolism produces even more toxins. In fact detoxification is the biggest single item in our biochemical budget, not only for handling outside toxins, but for getting rid of metabolic products like used hormones and neurotransmitters. Otherwise, these can build up in the body and cause cellular malfunction and disease.
At some point, we have to get rid of nearly every molecule that the body encounters. To do this, our detoxification system involves a complex process to render a molecule inactive. This system is entirely dependent on the foods we eat for the raw materials it needs.
Our detoxification systems are designed to keep us in good health. Problems occur when we eat poor diets and fail to supply the system with what it needs or if we overload the system beyond its capacity with too many toxins. In today’s world, virtually every American is in some degree of toxic overload.
To achieve optimal health we have to nutritionally support the detox systems and reduce their loads to manageable levels. The first step in learning how to reduce our toxic loads is to recognize that the tens of thousands of man-made chemicals that make our every day living possible are not harmless. Many of these chemicals are invisible, odorless, and tasteless so we may not even be aware of their presence. We are exposed to toxic man-made chemicals from everyday items like magazines, newspapers, carpets, pillows, mattresses, clothes, cosmetics, toothpaste, and processed foods.
Toxic chemicals are responsible for many of our 20th century disease problems, especially the new syndromes that mystify our doctors. Fatigue, headaches, digestive upsets, flu-like symptoms, aching joints can all be caused by environmental chemicals. High blood pressure and even fatal cardiac arrhythmias can be caused by chemicals ranging from solvents to pesticides. People who wake up feeling sluggish may not realize that the cause is right under their nose, the polyester chemicals coming off their pillow.
**Calculated molecules from another source follow:**
+++
# 1
{
  "formula": "C2H5O3S",
  "method": "the ωB97M-V functional and the def2-TZVPD basis",
  "elements": ["C", "C", "O", "O", "O", "S", "H", "H", "H", "H", "H"],
  "xyz": [[1.56, -0.85, -0.43], [0.11, -0.42, -0.06], [-2.33, 2.77, -0.06], [-1.93, 1.24, 1.72], [-0.34, 0.79, -0.54], [-2.12, 1.36, 0.27], [1.53, -1.89, -0.11], [2.35, -0.34, 0.19], [0.00, -0.52, 1.02], [1.63, -0.96, -1.45], [-0.46, -1.19, -0.55]],
  "homo_ev": -4.0,
  "orbital_gap_ev": 8.10,
  "lumo_ev": 4.096,
  "total_charge": -1,
  "de_lowest_ev": 0.479
}


# 2
{
  "formula": "C22H20F2N3OS",
  "method": "the ωB97M-V functional and the def2-TZVPD basis",
  "elements": ["C", "N", "C", "H", "H", "H", "C", "C", "N", "C", "O", "C", "C", "C", "C", "C", "C", "C", "C", "C", "C", "H", "H", "H", "H", "H", "H", "H", "C", "N", "C", "C", "C", "C", "C", "C", "S", "H", "F", "H", "F", "H", "H", "H", "H", "H", "H", "H", "H"],
  "xyz": [[2.11, 3.20, 1.22], [1.89, 2.39, 0.03], [2.50, 3.02, -1.14], [3.56, 3.18, -0.94], [2.40, 2.37, -2.01], [2.04, 3.99, -1.36], [0.47, 2.07, -0.19], [0.01, 0.89, 0.68], [0.27, -0.43, 0.09], [-0.72, -1.39, -0.15], [-0.36, -2.54, -0.30], [-2.12, -0.97, -0.23], [-3.07, -1.81, 0.31], [-4.44, -1.51, 0.24], [-5.42, -2.35, 0.82], [-6.74, -2.03, 0.72], [-7.15, -0.86, 0.05], [-6.22, -0.03, -0.52], [-4.85, -0.33, -0.44], [-3.86, 0.49, -1.03], [-2.54, 0.19, -0.93], [-1.80, 0.81, -1.43], [-4.18, 1.37, -1.58], [-6.53, 0.87, -1.04], [-8.20, -0.63, -0.02], [-7.49, -2.67, 1.16], [-5.10, -3.24, 1.33], [-2.75, -2.72, 0.81], [1.55, -0.89, 0.04], [2.59, -0.08, 0.18], [3.79, -0.73, 0.09], [5.06, -0.17, 0.18], [6.18, -0.96, 0.07], [6.01, -2.33, -0.13], [4.77, -2.93, -0.23], [3.66, -2.11, -0.11], [1.95, -2.54, -0.20], [4.68, -3.99, -0.39], [7.10, -3.09, -0.24], [7.17, -0.54, 0.13], [5.17, 1.16, 0.37], [-1.07, 0.95, 0.84], [0.50, 0.93, 1.65], [-0.15, 2.94, 0.04], [0.33, 1.82, -1.24], [2.45, 1.03, 0.19], [1.68, 4.20, 1.11], [1.66, 2.72, 2.09], [3.18, 3.29, 1.39]],
  "homo_ev": -11.1,
  "orbital_gap_ev": 7.94,
  "lumo_ev": -3.145,
  "total_charge": 1
}


# 3
{
  "formula": "C32H32N7PbS",
  "method": "the ωB97M-V functional and the def2-TZVPD basis",
  "elements": ["Pb", "C", "C", "C", "C", "C", "C", "N", "C", "C", "C", "C", "C", "C", "N", "N", "C", "C", "C", "C", "C", "N", "H", "H", "H", "H", "H", "H", "H", "H", "H", "H", "H", "H", "H", "S", "C", "N", "C", "N", "C", "C", "C", "C", "C", "H", "H", "H", "H", "H", "H", "H", "H", "H", "H", "C", "C", "C", "C", "C", "C", "C", "C", "N", "H", "H", "H", "H", "H", "H", "H", "H", "H"],
+++
Short of going back to living in mud huts, what can we do to protect our health? The answer is a lot! We can minimize our toxic loads. We can supply our body’s detoxification systems with the raw materials needed for efficient operation. This means eating a varied diet of fresh, whole organic foods, avoiding processed foods, and foods with known high toxic contents like meat and dairy. We can supplement our diets with high quality nutrients like folic acid, vitamin B6, magnesium, essential fatty acids, vitamin B12, methionine, reduced glutathione, alpha ketoglutarate, dietary fiber, and vitamin C. Minimize toxic loads by avoiding pesticides, prescription drugs, tap water, and packaged foods with their additives and packaging chemicals. Don’t breathe the fumes when putting gasoline in the car. Buy clothes, furniture, carpets, bedding, and personal care products made from all natural materials.
By getting adequate nutrition and avoiding toxins, average people can reduce their toxic loads to levels their bodies can handle, thereby pushing their personal equations toward health.